Deadlines on Medical Malpractice Claims Against the VA

In any medical malpractice claim, deadlines are critically important. It is no different in claims against the VA. This is the first important distinction between claims against the VA and claims against private medical providers.

Statute of Limitations is Only 2 Years Under the Federal Tort Claims Act (FTCA)

Again, claims against the VA are governed by the FTCA. The most important requirement under the Federal Tort Claims Act is the 2 year statute of limitations. This is significantly shorter than the 3 year statute of limitations on New Mexico medical malpractice claims against private medical providers.

This means that a claim must be filed within 2 years or it will with very exceptions be barred completely. There are a number of finer points to the statute of limitations that must be understood by patients and their families: the Administrative Claims requirement under the FTCA and the Discovery Rule which governs the date that the statute of limitations begins to run on New Mexico medical malpractice cases.

(Inserted here: calculated crystals)
=====
# 1
LiHo2Ag2W4O16 | Materials Project | GGA+U | relaxed; total magnetic moment = 0.040 μB per atom; formation energy from the elements = -53.3 kcal/mol of atoms
1.0
5.192 -5.445 0.000
5.192 5.445 0.000
-4.582 0.000 5.760
Li Ho Ag W O
1 2 2 4 16
Direct
0.000 0.000 0.000 Li
0.289 0.711 0.000 Ho
0.711 0.289 0.000 Ho
0.311 0.311 0.469 Ag
0.689 0.689 0.531 Ag
0.161 0.839 0.500 W
0.236 0.236 0.975 W
0.764 0.764 0.025 W
0.839 0.161 0.500 W
0.013 0.013 0.338 O
0.047 0.292 0.087 O
0.102 0.362 0.765 O
0.217 0.695 0.653 O
0.292 0.047 0.087 O
0.305 0.783 0.347 O
0.362 0.102 0.765 O
0.463 0.463 0.151 O
0.537 0.537 0.849 O
0.638 0.898 0.235 O
0.695 0.217 0.653 O
0.708 0.953 0.913 O
0.783 0.305 0.347 O
0.898 0.638 0.235 O
0.953 0.708 0.913 O
0.987 0.987 0.662 O

# 2
InAgMo2O8 | Materials Project | GGA+U | relaxed; total magnetic moment = 0.000 μB per atom; formation energy from the elements = -40.1 kcal/mol of atoms
1.0
3.562 -18.986 0.000
3.562 18.986 0.000
-3.514 0.000 3.609
In Ag Mo O
3 3 6 24
Direct
0.000 0.000 0.000 In
0.395 0.605 0.500 In
0.746 0.254 0.500 In
0.580 0.420 0.500 Ag
0.649 0.351 0.000 Ag
0.820 0.180 0.000 Ag
0.069 0.931 0.500 Mo
0.168 0.832 0.000 Mo
0.226 0.774 0.500 Mo
0.322 0.678 0.000 Mo
0.475 0.525 0.000 Mo
0.919 0.081 0.500 Mo
0.024 0.511 0.429 O
0.034 0.442 0.878 O
0.040 0.260 0.891 O
0.150 0.224 0.898 O
0.198 0.114 0.913 O
0.210 0.511 0.603 O
0.245 0.385 0.603 O
0.342 0.151 0.599 O
0.351 0.345 0.611 O
0.370 0.093 0.091 O
0.375 0.006 0.493 O
0.437 0.007 0.023 O
0.489 0.790 0.397 O
0.489 0.976 0.571 O
0.558 0.966 0.122 O
0.615 0.755 0.397 O
0.655 0.649 0.389 O
0.740 0.960 0.109 O
0.776 0.850 0.102 O
0.849 0.658 0.401 O
0.886 0.802 0.087 O
0.907 0.630 0.909 O
0.993 0.563 0.977 O
0.994 0.625 0.507 O

# 3
KV4Ag11O16 | Materials Project | GGA+U | relaxed; total magnetic moment = 0.000 μB per atom; formation energy from the elements = -30.7 kcal/mol of atoms
1.0
10.535 0.000 0.000
0.000 17.224 0.000
0.000 0.000 10.778
K V Ag O
4 16 44 64
Direct
0.000 0.000 0.000 K
0.000 0.500 0.500 K
0.500 0.000 0.500 K
0.500 0.500 0.000 K
0.001 0.235 0.018 V
0.001 0.265 0.518 V
0.242 0.002 0.266 V
0.242 0.498 0.766 V
0.258 0.502 0.266 V
0.258 0.998 0.766 V
0.499 0.735 0.018 V
0.499 0.765 0.518 V
0.501 0.235 0.482 V
0.501 0.265 0.982 V
0.742 0.002 0.234 V
0.742 0.498 0.734 V
0.758 0.502 0.234 V
0.758 0.998 0.734 V
0.999 0.735 0.482 V
0.999 0.765 0.982 V
0.000 0.000 0.500 Ag
0.000 0.500 0.000 Ag
0.025 0.136 0.724 Ag
0.025 0.364 0.224 Ag
0.031 0.634 0.210 Ag
0.031 0.866 0.710 Ag
0.213 0.623 0.011 Ag
0.213 0.877 0.511 Ag
0.215 0.121 0.526 Ag
0.215 0.379 0.026 Ag
0.248 0.245 0.240 Ag
0.248 0.255 0.740 Ag
0.252 0.745 0.240 Ag
0.252 0.755 0.740 Ag
0.285 0.621 0.526 Ag
0.285 0.879 0.026 Ag
0.287 0.123 0.011 Ag
0.287 0.377 0.511 Ag
0.469 0.134 0.210 Ag
0.469 0.366 0.710 Ag
0.475 0.636 0.724 Ag
0.475 0.864 0.224 Ag
0.500 0.000 0.000 Ag
0.500 0.500 0.500 Ag
0.525 0.136 0.776 Ag
0.525 0.364 0.276 Ag
0.531 0.634 0.290 Ag
0.531 0.866 0.790 Ag
0.713 0.623 0.489 Ag
=====
(The article goes on)

The Administrative Claim Requirement

Under the FTCA any legal claim against a federal governmental entity including the VA must begin with an administrative claim with the agency in question. This should not scare off a patient or family. It is a rather simple requirement to meet and can actually benefit the patient/family possibly avoiding the time and expense of moving forward with a protracted, stressful and expensive lawsuit in federal court.

In short, the patient/family must file a claim with the proper VA entity. The claim must be filed with the Office of General Counsel for the VA region in which the case arose. For New Mexico, this is the Phoenix office which you can find here along with all other regional offices: You can also find useful information and forms necessary for filing a claim with the VA.

The patient/family must exhaust the administrative claims process before filing suit. This means filing the claim with the Office of General Counsel and awaiting the decision. Failure to do so will result in dismissal of the claims by the federal district court judge. The administrative claims process will be discussed in greater depth below at section 6.1.

The Discovery Rule

The “discovery rule” in New Mexico medical malpractice claims, including claims against the VA, is critically important to the rights of patients and families harmed by medical negligence. Not all states follow the discovery rule. New Mexico does which means the statute of limitations on any claim arising in New Mexico will be governed by the discovery rule.

The discovery rule, in a nutshell, means that the statute of limitations will not begin to run until the patient knew or should have known of the medical negligence. This is crucial to the rights of patients and families harmed by medical negligence since without the discovery rule, the statute of limitations can and often does run before the patient is ever aware of the medical negligence (think failure to diagnose cancer).

In sum, the discovery rule applies in New Mexico based VA medical malpractice claims so that the statute of limitations does not begin to run until the patient knew or should have known of the medical negligence. This determination can get a little bit complicated particularly under the “should have known” prong. It is important to understand and identify the relevant dates.

Fraud and Concealment

There are a few very bad actors in medical care.  These folks will actively conceal medical errors.  This is so even in cases where concealment can lead to catastrophic harm and even death to a patient.  This is actually quite rare.  However, in the case of the VA, the problem may be much worse.

# Unrelated to this entry: crystal structures
____________
Below is a relaxed Sr2La14Zn3Cu5O32 crystal, with properties calculated at the PBE level.

```
Sr2La14Zn3Cu5O32
1.0
5.562 0.000 0.000
0.000 5.402 0.000
-0.077 0.000 25.941
Sr La Zn Cu O
2 14 3 5 32
direct
0.000 0.000 0.000
0.491 0.000 0.247
0.008 0.000 0.498
0.010 0.500 0.749
0.014 0.500 0.248
0.475 0.500 0.001
0.478 0.000 0.750
0.482 0.500 0.498
0.509 0.500 0.139
0.509 0.500 0.639
0.512 0.000 0.386
0.518 0.000 0.893
0.979 0.000 0.138
0.980 0.500 0.388
0.982 0.000 0.638
0.985 0.500 0.891
0.494 0.000 0.568
0.498 0.500 0.822
0.996 0.500 0.567
0.494 0.000 0.069
0.496 0.500 0.317
0.994 0.000 0.820
0.994 0.500 0.068
0.998 0.000 0.317
0.024 0.000 0.226
0.053 0.500 0.479
0.061 0.500 0.975
0.062 0.000 0.724
0.239 0.246 0.824
0.239 0.754 0.824
0.243 0.251 0.326
0.243 0.258 0.075
0.243 0.742 0.075
0.243 0.749 0.326
0.247 0.251 0.577
0.247 0.749 0.577
0.436 0.000 0.478
0.438 0.500 0.728
0.440 0.500 0.228
0.465 0.000 0.980
0.541 0.000 0.153
0.547 0.500 0.908
0.549 0.500 0.411
0.555 0.000 0.660
0.743 0.259 0.066
0.743 0.741 0.066
0.745 0.250 0.562
0.745 0.750 0.562
0.751 0.246 0.811
0.751 0.253 0.317
0.751 0.747 0.317
0.751 0.754 0.811
0.926 0.000 0.908
0.934 0.500 0.660
0.936 0.000 0.413
0.942 0.500 0.162
```

Its spin magnetization is 1.6 μB/f.u. As for the space-group type: Pm (6). Its total energy is -399.43 eV for the cell shown. The calculation puts the formation energy at -166.32 eV per formula unit.

Below is a relaxed LaMg15 crystal, with properties calculated at the PBE level.

```
LaMg15
1.0
6.594 0.000 0.000
-3.297 5.711 0.000
0.000 0.000 10.360
La Mg
1 15
direct
0.000 0.000 0.000
0.000 0.000 0.500
0.011 0.505 0.000
0.168 0.336 0.256
0.168 0.336 0.744
0.168 0.832 0.256
0.168 0.832 0.744
0.495 0.505 0.000
0.495 0.989 0.000
0.501 0.002 0.500
0.501 0.499 0.500
0.664 0.832 0.256
0.664 0.832 0.744
0.667 0.333 0.245
0.667 0.333 0.755
0.998 0.499 0.500
```

Its spin magnetization is 0.0 μB/f.u. As for the space-group type: P-6m2 (187). Its total energy is -28.67 eV for the cell shown. The calculation puts the formation energy at 0.27 eV per formula unit.

Below is a relaxed YCo3H2 crystal, with properties calculated at the PBE level.

```
YCo3H2
1.0
2.470 1.426 9.129
-2.470 1.426 9.129
0.000 -2.853 9.129
Y Co H
3 9 6
direct
0.000 0.000 0.000
0.128 0.128 0.128
0.872 0.872 0.872
0.073 0.571 0.571
0.332 0.332 0.332
0.429 0.429 0.927
0.429 0.927 0.429
0.500 0.500 0.500
0.571 0.073 0.571
0.571 0.571 0.073
0.668 0.668 0.668
0.927 0.429 0.429
0.141 0.631 0.631
0.369 0.369 0.859
0.369 0.859 0.369
0.631 0.141 0.631
0.631 0.631 0.141
0.859 0.369 0.369
```

Its spin magnetization is 3.2 μB/f.u. As for the space-group type: R-3m (166). Its total energy is -107.60 eV for the cell shown. The calculation puts the formation energy at -1.65 eV per formula unit.

Below is a relaxed Rb2TeH6SO10 crystal, with properties calculated at the PBE level.

```
Rb2TeH6SO10
1.0
13.709 0.000 0.000
0.000 6.806 0.000
-3.493 0.000 11.162
Rb Te H S O
8 4 24 4 40
direct
0.139 0.001 0.401
____________

This is the result of the findings of systemic neglect within the VA medical system.  This is not necessarily or even often the result of individual medical providers behaving badly.  Rather it is at the administrative level where it has been found that there are huge delays in treatment, wait times are falsified and worst of all medical records are falsified, including falsifying women’s refusal of mammograms.

In any of these cases, the rules on fraud and concealment as well as the discovery rule would toll the statute of limitations until the patient or family knew or should have known of the medical negligence.

Seek Legal Guidance in the State Where the Medical Malpractice Occurred

Each state has its own laws regarding the discovery rule, and fraud and concealment of medical malpractice.  The sad fact is there are states that do not follow the discovery rule and perhaps a few that do not consider fraud and concealment.  It is important to know the rules in your own state since state law will govern in these areas.

For claims arising in New Mexico, Collins & Collins, P.C. can be reached at (505) 242-5958.